**Assignment:**
Next, return the material below from the line with "C26H31N7OS4Ti in" to the end word for word.
**Entries:**
____________
Entry 1:
Computed, not measured: a molecular structure, C26H31N2O7PSTeV, with ωB97M-V/def2-TZVPD.

## Properties
* total charge: +1
* E: -97878.851 eV
* HOMO-LUMO gap: 6.2 eV
* LUMO: -4.18 eV
* HOMO energy: -10.4 eV
* largest force on an atom: 0.7 eV Å⁻¹

Last column: Löwdin charge in e.
CARTESIAN COORDINATES (ANGSTROEM)
N: -0.285 -0.470 1.557  -0.10
C: 0.355 -0.671 2.645  0.03
C: -2.555 2.327 1.391  -0.09
H: 4.328 -0.026 0.488  0.12
H: 1.406 0.944 -4.486  0.08
C: 3.828 -0.462 1.343  0.00
O: -1.650 4.288 2.475  0.10
O: 0.983 -2.677 -0.231  -0.33
H: 1.444 2.344 -3.369  0.05
H: 4.231 -0.469 -3.625  0.07
H: 3.444 -1.664 -2.558  0.04
O: -1.197 -3.509 0.510  -0.28
C: -3.604 1.778 0.634  -0.04
H: 2.865 -3.900 -1.667  0.07
C: -0.046 4.032 -1.154  -0.07
H: -2.176 0.900 -1.961  0.12
O: -0.912 -1.428 -0.907  -0.41
H: 5.616 -1.114 2.307  0.12
C: -3.596 -3.097 0.511  -0.07
C: -3.655 4.483 1.289  0.01
Te: -0.716 -4.206 -2.703  0.53
H: -2.510 -4.741 1.419  0.12
C: 0.329 2.793 -0.639  -0.10
H: 3.673 -2.861 -0.456  0.06
C: -2.594 3.692 1.737  -0.25
H: 1.197 2.713 0.005  0.11
H: 2.932 1.861 -4.231  0.07
C: 3.884 -1.597 3.478  -0.06
C: -2.507 -4.141 0.513  -0.26
S: 2.424 0.440 -2.406  0.97
N: -1.348 0.232 1.172  0.05
H: -3.572 0.724 0.393  0.11
V: 0.122 -0.117 -0.271  0.99
H: 0.539 4.910 -0.913  0.11
H: -0.150 -0.564 3.599  0.16
C: 2.009 1.506 -3.774  -0.20
C: -4.665 3.918 0.543  -0.05
H: -5.463 2.127 -0.356  0.11
O: -0.573 1.866 2.618  0.10
H: 2.033 -3.585 1.268  0.12
H: 3.730 -4.617 -0.303  0.09
H: 2.663 -1.216 -4.101  0.08
C: 2.512 -1.509 3.574  -0.01
C: -1.419 1.523 1.807  -0.37
C: -1.926 3.012 -2.255  -0.06
C: 2.439 -0.411 1.416  -0.26
H: -3.498 -2.435 -0.350  0.07
H: -5.488 4.540 0.215  0.11
H: -3.571 -2.495 1.419  0.08
C: -1.574 1.773 -1.739  -0.09
H: 1.293 -4.707 0.113  0.11
H: 4.456 -2.059 4.271  0.11
O: 1.760 0.188 0.417  -0.19
C: 1.769 -0.931 2.539  -0.13
C: -0.446 1.681 -0.937  -0.22
C: 3.277 -0.862 -3.274  -0.20
H: -2.807 3.099 -2.878  0.12
H: -4.569 -3.587 0.447  0.09
C: 1.839 -3.767 0.211  -0.24
H: -3.665 5.530 1.556  0.13
H: -1.461 5.103 -2.353  0.11
H: -1.017 3.610 2.778  0.09
C: -1.169 4.139 -1.960  -0.07
H: 1.996 -1.888 4.447  0.13
C: 3.103 -3.780 -0.609  -0.06
P: -0.483 -2.982 -0.800  0.08
H: -2.569 -4.803 -0.352  0.07
C: 4.537 -1.065 2.366  -0.04
C: -4.654 2.557 0.217  -0.07
O: 1.073 -0.216 -2.069  -0.57

Entry 2:
Computed, not measured: a molecular structure, C26H31N7OS4Ti in a non-equilibrium geometry, with ωB97M-V/def2-TZVPD.

## Properties
* total charge: 0
* E: -106402.293 eV
* HOMO-LUMO gap: 6.9 eV
* LUMO: 0.13 eV
* HOMO energy: -6.7 eV
* largest force on an atom: 2.4 eV Å⁻¹

Last column: Löwdin charge in e.
CARTESIAN COORDINATES (ANGSTROEM)
S: -2.455 0.443 1.452  0.64
S: 0.051 2.344 0.172  0.69
H: -0.532 1.240 5.248  0.12
N: -1.826 -3.659 2.677  0.06
C: -2.032 -3.844 -1.707  -0.11
S: 2.112 -0.099 -0.235  0.89
H: -5.226 -3.196 -0.773  0.09
H: -1.837 5.673 -2.301  0.08
H: -2.418 -1.733 3.167  0.05
S: 0.295 -2.330 -1.180  0.62
C: -1.611 1.405 2.757  -0.51
C: 4.575 3.013 0.376  -0.10
N: -0.595 0.243 -2.800  0.03
H: -0.368 -5.108 1.230  0.11
C: -2.153 -1.809 -0.371  -0.35
N: 0.017 -4.188 1.378  0.18
H: -3.742 -2.822 2.748  0.09
H: -0.634 5.096 -4.484  0.08
C: 2.479 -0.826 1.395  -0.35
C: -0.295 0.821 3.161  -0.34
H: -2.714 1.690 -0.925  0.10
H: -2.265 1.479 3.626  0.07
N: -1.175 1.005 -3.642  0.09
C: 0.117 0.831 4.486  -0.01
C: -3.530 -1.993 -0.260  -0.14
H: 3.151 -0.570 3.992  0.12
H: -2.924 -2.989 4.325  0.09
C: 2.325 3.857 0.534  -0.12
H: -3.889 -4.849 -2.053  0.10
C: -2.789 -2.752 3.270  -0.04
N: 0.461 0.282 2.192  -0.02
C: 1.770 2.591 0.276  -0.66
C: 4.059 1.757 0.121  -0.12
H: 4.725 0.924 -0.072  0.10
H: 0.537 -3.818 0.579  0.02
H: -0.265 3.496 -3.853  0.07
C: -2.087 1.302 -1.707  -0.20
C: -3.399 -4.006 -1.583  -0.10
O: -0.469 -2.036 1.902  -0.13
H: -1.414 2.410 2.365  0.03
H: -4.130 -1.287 0.307  0.06
C: -2.205 4.648 -2.252  -0.07
C: -0.772 -3.256 1.966  -0.56
N: -1.127 0.413 -1.573  -0.15
____________
**Solution:**
Computed, not measured: a molecular structure, C26H31N7OS4Ti in a non-equilibrium geometry, with ωB97M-V/def2-TZVPD.

## Properties
* total charge: 0
* E: -106402.293 eV
* HOMO-LUMO gap: 6.9 eV
* LUMO: 0.13 eV
* HOMO energy: -6.7 eV
* largest force on an atom: 2.4 eV Å⁻¹

Last column: Löwdin charge in e.
CARTESIAN COORDINATES (ANGSTROEM)
S: -2.455 0.443 1.452  0.64
S: 0.051 2.344 0.172  0.69
H: -0.532 1.240 5.248  0.12
N: -1.826 -3.659 2.677  0.06
C: -2.032 -3.844 -1.707  -0.11
S: 2.112 -0.099 -0.235  0.89
H: -5.226 -3.196 -0.773  0.09
H: -1.837 5.673 -2.301  0.08
H: -2.418 -1.733 3.167  0.05
S: 0.295 -2.330 -1.180  0.62
C: -1.611 1.405 2.757  -0.51
C: 4.575 3.013 0.376  -0.10
N: -0.595 0.243 -2.800  0.03
H: -0.368 -5.108 1.230  0.11
C: -2.153 -1.809 -0.371  -0.35
N: 0.017 -4.188 1.378  0.18
H: -3.742 -2.822 2.748  0.09
H: -0.634 5.096 -4.484  0.08
C: 2.479 -0.826 1.395  -0.35
C: -0.295 0.821 3.161  -0.34
H: -2.714 1.690 -0.925  0.10
H: -2.265 1.479 3.626  0.07
N: -1.175 1.005 -3.642  0.09
C: 0.117 0.831 4.486  -0.01
C: -3.530 -1.993 -0.260  -0.14
H: 3.151 -0.570 3.992  0.12
H: -2.924 -2.989 4.325  0.09
C: 2.325 3.857 0.534  -0.12
H: -3.889 -4.849 -2.053  0.10
C: -2.789 -2.752 3.270  -0.04
N: 0.461 0.282 2.192  -0.02
C: 1.770 2.591 0.276  -0.66
C: 4.059 1.757 0.121  -0.12
H: 4.725 0.924 -0.072  0.10
H: 0.537 -3.818 0.579  0.02
H: -0.265 3.496 -3.853  0.07
C: -2.087 1.302 -1.707  -0.20
C: -3.399 -4.006 -1.583  -0.10
O: -0.469 -2.036 1.902  -0.13
H: -1.414 2.410 2.365  0.03
H: -4.130 -1.287 0.307  0.06
C: -2.205 4.648 -2.252  -0.07
C: -0.772 -3.256 1.966  -0.56
N: -1.127 0.413 -1.573  -0.15